• SAP HANA Video Tutorials

SAP HANA - Export & Import


HANA Export and Import option allows tables, Information models, Landscapes to move to a different or existing system. You do not need to recreate all tables and information models as you can simply export it to new system or import to an existing target system to reduce the effort.

This option can be accessed from File menu at the top or by right clicking on any table or Information model in HANA studio.

Explain and Import

Exporting a table/Information model in HANA Studio

Go to file menu → Export → You will see options as shown below −

Explain Destination

Export Options under SAP HANA Content

Delivery Unit

Delivery unit is a single unit, which can be mapped to multiple packages and can be exported as single entity so that all the packages assigned to Delivery Unit can be treated as single unit.

Users can use this option to export all the packages that make a delivery unit and the relevant objects contained in it to a HANA Server or to local Client location.

The user should create Delivery Unit prior to using it.

This can be done through HANA Modeler → Delivery Unit → Select System and Next → Create → Fill the details like Name, Version, etc. → OK → Add Packages to Delivery unit → Finish

Delivery Unit

Once the Delivery Unit is created and the packages are assigned to it, user can see the list of packages by using Export option −

Go to File → Export → Delivery Unit →Select the Delivery Unit.

You can see list of all packages assigned to Delivery unit. It gives an option to choose export location −

  • Export to Server
  • Export to Client
Export Through Delivery Unit

You can export the Delivery Unit either to HANA Server location or to a Client location as shown.

The user can restrict the export through “Filter by time” which means Information views, which are updated within the mentioned time interval will only be exported.

Select the Delivery Unit and Export Location and then Click Next → Finish. This will export the selected Delivery Unit to the specified location.

Developer Mode

This option can be used to export individual objects to a location in the local system. User can select single Information view or group of Views and Packages and select the local Client location for export and Finish.

┌──
(1)
Here is a cluster of 8 separate species, C30H72B2O9S7Si in total in a non-equilibrium geometry from the OMol25 dataset. Energies are from ωB97M-V/def2-TZVPD.

```
121
Properties=species:S:1:pos:R:3
C -4.0716 -0.7568 3.4663
Si -3.7194 -2.4456 2.6730
C -4.6868 -3.7533 3.6309
C -4.4316 -2.3893 0.9262
C -3.8060 -1.2935 0.0001
C -4.8365 -0.3884 -0.7136
C -4.6901 -0.3838 -2.2541
C -3.5585 0.6181 -2.6698
C -2.2873 -0.1731 -3.0077
C -0.9599 0.6334 -3.0312
C -1.0476 2.0752 -2.4854
B -0.9304 2.1628 -0.9275
B -0.9718 3.6504 -0.0776
O -0.7548 3.6951 1.2812
O -1.2447 4.8578 -0.7222
C -1.8530 -2.6821 2.7439
C -1.3410 -3.4677 3.7479
C 0.0036 -3.6600 3.9101
C 0.8483 -3.0355 3.0303
C 0.3748 -2.2764 2.0009
C -0.9742 -2.0973 1.8576
H -5.1066 -0.4470 3.3110
H -3.4197 0.0175 3.0552
H -3.8619 -0.7859 4.5405
H -4.5380 -4.7089 3.1216
H -5.7443 -3.5200 3.4903
H -4.4242 -3.8088 4.6846
H -5.5165 -2.2616 0.9691
H -4.2494 -3.3668 0.4647
H -3.1619 -1.8240 -0.6966
H -3.1905 -0.6474 0.6310
H -5.8355 -0.7670 -0.4961
H -4.7730 0.6161 -0.3064
H -5.6358 0.0109 -2.6296
H -4.4816 -1.3934 -2.6055
H -3.8995 1.1142 -3.5786
H -3.4496 1.2917 -1.8231
H -2.4322 -0.5678 -4.0165
H -2.1389 -1.0435 -2.3712
H -0.2472 0.1087 -2.3878
H -0.4990 0.6257 -4.0185
H -1.8964 2.6502 -2.8637
H -0.1485 2.6091 -2.8444
H -0.8334 1.1566 -0.2770
H -1.1303 2.8979 1.6756
H -2.1541 5.1289 -0.5402
H -2.0104 -3.9586 4.4483
H 0.3979 -4.2589 4.7173
H 1.9197 -3.1403 3.1479
H 1.0743 -1.8074 1.3208
H -1.3021 -1.4831 1.0282
C 5.5025 -1.9069 0.0322
S 5.1808 -2.9163 1.4859
O 3.7142 -3.1477 1.5479
C 5.5779 -1.6426 2.6858
H 5.2774 -2.5039 -0.8498
H 4.8643 -1.0232 0.0500
H 6.5534 -1.6156 0.0192
H 4.9364 -0.7746 2.5301
H 6.6279 -1.3605 2.5858
H 5.4062 -2.0453 3.6825
C 1.8729 0.1413 7.0515
S 0.5010 -1.0205 7.1084
O 1.0402 -2.3525 6.7326
C -0.3583 -0.3681 5.6689
H 2.5659 -0.1149 7.8504
H 2.3780 0.0650 6.0881
H 1.4975 1.1533 7.2048
H 0.2961 -0.4124 4.7971
H -0.6633 0.6604 5.8658
H -1.2390 -0.9829 5.4922
C 2.0785 -0.2639 -7.3243
S 1.0980 0.6996 -6.1705
O -0.3051 0.2244 -6.2857
C 1.2096 2.2500 -7.0740
H 2.1087 -1.2925 -6.9736
H 1.6238 -0.2319 -8.3143
H 3.0927 0.1331 -7.3621
H 0.8088 2.1181 -8.0791
H 2.2511 2.5693 -7.1189
H 0.6227 2.9951 -6.5401
C 6.6264 -3.5890 -6.6115
S 4.8869 -3.1406 -6.6775
O 4.7195 -2.1891 -7.8073
C 4.8873 -2.1737 -5.1602
H 6.8580 -4.1723 -7.5001
H 7.2382 -2.6867 -6.5948
H 6.8115 -4.1909 -5.7216
H 5.6154 -1.3656 -5.2395
H 5.1289 -2.8220 -4.3179
H 3.8911 -1.7570 -5.0228
C -8.5702 2.3708 2.0518
S -7.3285 1.1898 2.5951
O -6.4809 0.8658 1.4212
C -8.4637 -0.1859 2.8229
H -8.0654 3.3045 1.8122
H -9.0769 1.9898 1.1648
H -9.2862 2.5394 2.8563
H -8.9802 -0.3955 1.8858
H -9.1812 0.0617 3.6055
H -7.8826 -1.0560 3.1238
C -1.7936 7.3018 -2.7184
S -2.7489 8.3263 -1.5966
O -4.1659 7.8900 -1.7052
C -2.5857 9.8491 -2.5397
H -1.7997 6.2867 -2.3373
H -2.2429 7.3238 -3.7122
H -0.7668 7.6660 -2.7579
H -2.9850 9.7035 -3.5436
H -1.5348 10.1353 -2.5859
H -3.1522 10.6254 -2.0293
C 11.1034 -1.5048 4.0295
S 9.9757 -1.4696 2.6316
└──
• Back to the piece:

This is shown in the snapshot below.

Developer Mode

Support Mode

This can be used to export the objects along with the data for SAP support purposes. This can be used when requested.

Example − User creates an Information View, which throws an error and he is not able to resolve. In that case, he can use this option to export the view along with data and share it with SAP for debugging purpose.

Support Mode

Export Options under SAP HANA Studio

Landscape − To export the landscape from one system to other.

Tables − This option can be used to export tables along with its content.

Import Option under SAP HANA Content

Go to File → Import, You will see all the options as shown below under Import.

Data from Local File

This is used to import data from a flat file like .xls or .csv file.


Click on Nex → Choose Target System → Define Import Properties

Select Source file by browsing local system. It also gives an option if you want to keep the header row. It also gives an option to create a new table under existing Schema or if you want to import data from a file to an existing table.

Data from Local File1

When you click on Next, it gives an option to define Primary Key, change data type of columns, define storage type of table and also, allows you to change the proposed structure of table.

Data from Local File2

When you click on finish, that table will be populated under list of tables in mentioned Schema. You can do the data preview and can check data definition of the table and it will be same as that of .xls file.

Import Data from Local File

Delivery Unit

Select Delivery unit by going to File → Import → Delivery unit. You can choose from a server or local client.

You can select “Overwrite inactive versions” which allows you to overwrite any inactive version of objects that exist. If the user selects “Activate objects”, then after the import, all the imported objects will be activated by default. The user need not trigger the activation manually for the imported views.

********
(1)
Computed, not measured: an isolated molecule of C3H4N2O, with ωB97M-V/def2-TZVPD.

SMILES = Oc1ncc[nH]1
ΔE to the lowest compared entry with this formula, charge and spin = 258.0 kJ/mol
Kohn-Sham gap = 9.673 eV
Highest occupied orbital energy = -9.010 eV
Strongest force on any atom = 2.1 eV/A
DFT total energy = -301.3890 Eh

ORCA input file:
```
! wB97M-V def2-TZVPD RIJCOSX def2/J DEFGRID3
* xyz 0 1
O 2.1645 -0.2235 -0.0452
C 0.8305 -0.1502 -0.0492
N 0.0009 -1.1632 0.0295
C -1.2308 -0.5489 -0.0729
C -1.1729 0.8704 -0.2617
N 0.2087 1.0519 -0.1392
H 2.3849 -1.1678 0.0149
H -2.1446 -1.1449 -0.1294
H -1.7070 0.5247 0.8169
H 0.6658 1.9516 -0.1637
*
```

(2)
Computed, not measured: a 13-piece molecular cluster, C37H100O13 overall, with ωB97M-V/def2-TZVPD.

ΔE to the lowest compared entry with this formula, charge and spin = 512.7 kJ/mol
Kohn-Sham gap = 10.194 eV
Highest occupied orbital energy = -10.024 eV
Strongest force on any atom = 3.5 eV/A
DFT total energy = -2447.6211 Eh

ORCA input file:
```
! wB97M-V def2-TZVPD RIJCOSX def2/J DEFGRID3
* xyz 0 1
C -9.8087 0.2999 1.0686
C -8.4818 -0.4651 1.2681
O -7.5313 -0.1555 0.2243
H -10.2585 -0.0573 0.1423
H -9.6522 1.3764 0.9990
H -10.5279 0.1869 1.8798
H -8.7651 -1.5174 1.2423
H -8.0898 -0.3098 2.2732
H -6.6743 -0.5660 0.3607
C -2.7565 -8.2761 -2.6157
C -1.4724 -7.8340 -1.9628
O -1.1179 -6.5871 -2.5864
H -3.5886 -7.6379 -2.3183
H -2.9413 -9.3210 -2.3667
H -2.6777 -8.2883 -3.7027
H -0.7800 -8.6578 -2.1358
H -1.6539 -7.6789 -0.8992
H -1.2235 -6.5869 -3.5406
C -5.0173 6.5882 -0.8187
C -4.3665 6.7350 -2.1222
C -5.2606 7.0149 -3.2894
O -3.3944 7.7790 -1.9805
H -5.5604 7.4935 -0.5472
H -4.3766 6.3271 0.0236
H -5.7501 5.7910 -0.6938
H -3.8063 5.8314 -2.3625
H -5.8915 6.1448 -3.4710
H -4.7294 7.2270 -4.2173
H -5.9138 7.8771 -3.1549
H -3.8275 8.5846 -1.6890
C 5.0945 7.8164 2.6758
C 3.6752 7.5664 3.2374
C 2.9752 6.5063 2.3796
O 3.7343 7.1228 4.5426
H 5.0202 7.9247 1.5937
H 5.6977 6.9087 2.6916
H 5.5992 8.6633 3.1407
H 3.1893 8.5376 3.1438
H 1.9882 6.2519 2.7660
H 3.6320 5.6430 2.2729
H 2.8032 6.8860 1.3725
H 2.8478 6.8561 4.7967
C 9.1437 -0.6575 -4.0273
C 8.4998 -0.1415 -2.7373
C 8.3773 -1.2741 -1.6623
O 9.3297 0.8652 -2.2589
H 9.4248 0.1561 -4.6960
H 8.4941 -1.3941 -4.5001
H 10.0417 -1.2320 -3.8001
H 7.4552 0.1243 -2.8992
H 9.3401 -1.5339 -1.2223
H 7.9660 -2.2307 -1.9844
H 7.7981 -1.0050 -0.7789
H 9.2329 1.5352 -2.9396
C -3.8776 4.3593 8.4103
C -3.1054 5.2239 7.3577
C -3.4889 6.7171 7.3932
O -1.7488 5.1492 7.6463
H -3.4180 3.3789 8.2852
H -4.9594 4.2325 8.3695
H -3.6932 4.6681 9.4393
H -3.1329 4.8809 6.3235
H -4.5103 6.8777 7.0481
H -2.8481 7.3326 6.7619
H -3.4632 7.0408 8.4337
H -1.6063 4.9173 8.5668
C -5.7132 -5.9813 6.4592
C -4.6843 -4.8148 6.5392
C -3.9559 -4.6933 7.8326
O -3.7411 -5.1616 5.5229
H -5.2804 -6.9347 6.7622
H -6.1444 -6.1073 5.4661
H -6.5080 -5.7327 7.1625
H -5.0971 -3.8364 6.2935
H -3.4714 -5.6224 8.1331
H -4.6480 -4.3867 8.6168
H -3.2085 -3.9003 7.8081
H -3.8530 -4.4994 4.8369
********

Import Through Delivery Unit

Click Finish and once completed successfully, it will be populated to target system.

Developer Mode

Browse for the Local Client location where the views are exported and select the views to be imported, the user can select individual Views or group of Views and Packages and Click on Finish.

Mass Import of Metadata

Go to File → Import → Mass Import of Metadata → Next and select the source and target system.

Configure the System for Mass Import and click Finish.

Mass Import of Metadata

Selective Import of Metadata

It allows you to choose tables and target schema to import Meta data from SAP Applications.

Go to File → Import → Selective Import of Metadata → Next

Choose Source Connection of type “SAP Applications”. Remember that the Data Store should have been created already of type SAP Applications → Click Next

Selective Import of Metadata1 Selective Import of Metadata2

Select tables you want to import and validate data if required. Click Finish after that.
